== Source ==
[1]
The following is a calculated powder diffractogram of Li2SnH6O6. It was derived from a GGA-PBE-relaxed structure, using Cu Kα, 1.54184 Å.

Atomic structure:
```
data_Li2SnH6O6
_chemical_formula_sum 'Li4 Sn2 H12 O12'
_cell_length_a 5.231
_cell_length_b 5.633
_cell_length_c 10.089
_cell_angle_alpha 90.00
_cell_angle_beta 114.10
_cell_angle_gamma 90.00
_symmetry_space_group_name_H-M 'P 1 21/c 1'
_symmetry_Int_Tables_number 14
_symmetry_space_group_name_Hall '-P 2ybc'
loop_
_atom_site_label
_atom_site_fract_x
_atom_site_fract_y
_atom_site_fract_z
Li1 0.064 0.230 0.158
Sn1 0.500 0.000 0.000
H1 0.003 0.178 0.879
H2 0.333 0.579 0.063
H3 0.442 0.747 0.269
O1 0.114 0.094 0.834
O2 0.256 0.742 0.049
O3 0.414 0.246 0.131
```

Most intense lines, 2θ from 15° to 90°, by angle:
two_theta  I/Imax  index
18.5  100  0 1 1
18.6  38  1 0 0
19.3  39  0 0 2
20.6  26  1 0 -2
23.3  50  1 1 -1
31.7  34  1 1 -3
32.0  18  1 0 2
38.2  28  1 2 -2

***

[2]
The following is a calculated powder diffractogram of Li3TeHO4. It was derived from a GGA-PBE-relaxed structure, using Cu Kα, 1.54184 Å.

Atomic structure:
```
data_Li3TeHO4
_chemical_formula_sum 'Li6 Te2 H2 O8'
_cell_length_a 5.527
_cell_length_b 6.417
_cell_length_c 6.866
_cell_angle_alpha 90.00
_cell_angle_beta 113.26
_cell_angle_gamma 90.00
_symmetry_space_group_name_H-M 'P 1 21/m 1'
_symmetry_Int_Tables_number 11
_symmetry_space_group_name_Hall '-P 2yb'
loop_
_atom_site_label
_atom_site_fract_x
_atom_site_fract_y
_atom_site_fract_z
Li1 0.218 0.250 0.149
Li2 0.248 0.515 0.848
Te1 0.325 0.750 0.314
H1 0.016 0.250 0.438
O1 0.027 0.750 0.714
O2 0.048 0.250 0.822
O3 0.406 0.525 0.172
```

Most intense lines, 2θ from 15° to 90°, by angle:
two_theta  I/Imax  index
17.6  73  1 0 -1
19.7  100  0 1 1
22.3  69  1 1 0
27.8  26  0 2 0
28.3  30  0 0 2
30.0  32  1 1 1
30.2  50  1 1 -2
33.1  36  1 2 -1

***

[3]
The following is a calculated powder diffractogram of Li4H6Os. It was derived from a GGA-PBE-relaxed structure, using Cu Kα, 1.54184 Å.

Atomic structure:
```
data_Li4H6Os
_chemical_formula_sum 'Li24 H36 Os6'
_cell_length_a 8.2764
_cell_length_b 8.2764
_cell_length_c 10.1958
_cell_angle_alpha 90.00
_cell_angle_beta 90.00
_cell_angle_gamma 120.00
_symmetry_space_group_name_H-M 'R -3 c'
_symmetry_Int_Tables_number 167
_symmetry_space_group_name_Hall '-R 3 2"c'
loop_
_atom_site_label
_atom_site_fract_x
_atom_site_fract_y
_atom_site_fract_z
Li1 0.0000 0.0000 0.2500
Li2 0.0000 0.4083 0.2500
H1 0.0490 0.1894 0.4016
Os1 0.0000 0.0000 0.0000
```

Most intense lines, 2θ from 15° to 90°, by angle:
two_theta  I/Imax  index
21.4  100  1 1 0
30.5  18  2 0 2
37.4  12  1 0 4
37.6  35  3 0 0
43.6  9  0 2 4
49.1  12  2 1 4
49.2  12  3 1 2
59.0  12  4 1 0

***

[4]
The following is a calculated powder diffractogram of LiPH2. It was derived from a GGA-PBE-relaxed structure, using Cu Kα, 1.54184 Å.

Atomic structure:
```
data_LiPH2
_chemical_formula_sum 'Li1 P1 H2'
_cell_length_a 3.622
_cell_length_b 3.622
_cell_length_c 2.939
_cell_angle_alpha 90.00
_cell_angle_beta 90.00
_cell_angle_gamma 90.00
_symmetry_space_group_name_H-M 'P 4/m m m'
_symmetry_Int_Tables_number 123
_symmetry_space_group_name_Hall '-P 4 2'
loop_
_atom_site_label
_atom_site_fract_x
_atom_site_fract_y
_atom_site_fract_z
Li1 0.000 0.000 0.000
P1 0.500 0.500 0.500
H1 0.000 0.500 0.500
```

Most intense lines, 2θ from 15° to 90°, by angle:
two_theta  I/Imax  index
24.6  100  1 0 0
30.4  34  0 0 1
35.0  59  1 1 0
39.5  97  1 0 1
47.1  23  1 1 1
50.4  25  2 0 0
56.8  15  2 1 0
65.8  40  2 1 1

----------

== Brief ==
Now echo the listing further above word for word.

== Reply ==
[1]
The following is a calculated powder diffractogram of Li2SnH6O6. It was derived from a GGA-PBE-relaxed structure, using Cu Kα, 1.54184 Å.

Atomic structure:
```
data_Li2SnH6O6
_chemical_formula_sum 'Li4 Sn2 H12 O12'
_cell_length_a 5.231
_cell_length_b 5.633
_cell_length_c 10.089
_cell_angle_alpha 90.00
_cell_angle_beta 114.10
_cell_angle_gamma 90.00
_symmetry_space_group_name_H-M 'P 1 21/c 1'
_symmetry_Int_Tables_number 14
_symmetry_space_group_name_Hall '-P 2ybc'
loop_
_atom_site_label
_atom_site_fract_x
_atom_site_fract_y
_atom_site_fract_z
Li1 0.064 0.230 0.158
Sn1 0.500 0.000 0.000
H1 0.003 0.178 0.879
H2 0.333 0.579 0.063
H3 0.442 0.747 0.269
O1 0.114 0.094 0.834
O2 0.256 0.742 0.049
O3 0.414 0.246 0.131
```

Most intense lines, 2θ from 15° to 90°, by angle:
two_theta  I/Imax  index
18.5  100  0 1 1
18.6  38  1 0 0
19.3  39  0 0 2
20.6  26  1 0 -2
23.3  50  1 1 -1
31.7  34  1 1 -3
32.0  18  1 0 2
38.2  28  1 2 -2

***

[2]
The following is a calculated powder diffractogram of Li3TeHO4. It was derived from a GGA-PBE-relaxed structure, using Cu Kα, 1.54184 Å.

Atomic structure:
```
data_Li3TeHO4
_chemical_formula_sum 'Li6 Te2 H2 O8'
_cell_length_a 5.527
_cell_length_b 6.417
_cell_length_c 6.866
_cell_angle_alpha 90.00
_cell_angle_beta 113.26
_cell_angle_gamma 90.00
_symmetry_space_group_name_H-M 'P 1 21/m 1'
_symmetry_Int_Tables_number 11
_symmetry_space_group_name_Hall '-P 2yb'
loop_
_atom_site_label
_atom_site_fract_x
_atom_site_fract_y
_atom_site_fract_z
Li1 0.218 0.250 0.149
Li2 0.248 0.515 0.848
Te1 0.325 0.750 0.314
H1 0.016 0.250 0.438
O1 0.027 0.750 0.714
O2 0.048 0.250 0.822
O3 0.406 0.525 0.172
```

Most intense lines, 2θ from 15° to 90°, by angle:
two_theta  I/Imax  index
17.6  73  1 0 -1
19.7  100  0 1 1
22.3  69  1 1 0
27.8  26  0 2 0
28.3  30  0 0 2
30.0  32  1 1 1
30.2  50  1 1 -2
33.1  36  1 2 -1

***

[3]
The following is a calculated powder diffractogram of Li4H6Os. It was derived from a GGA-PBE-relaxed structure, using Cu Kα, 1.54184 Å.

Atomic structure:
```
data_Li4H6Os
_chemical_formula_sum 'Li24 H36 Os6'
_cell_length_a 8.2764
_cell_length_b 8.2764
_cell_length_c 10.1958
_cell_angle_alpha 90.00
_cell_angle_beta 90.00
_cell_angle_gamma 120.00
_symmetry_space_group_name_H-M 'R -3 c'
_symmetry_Int_Tables_number 167
_symmetry_space_group_name_Hall '-R 3 2"c'
loop_
_atom_site_label
_atom_site_fract_x
_atom_site_fract_y
_atom_site_fract_z
Li1 0.0000 0.0000 0.2500
Li2 0.0000 0.4083 0.2500
H1 0.0490 0.1894 0.4016
Os1 0.0000 0.0000 0.0000
```

Most intense lines, 2θ from 15° to 90°, by angle:
two_theta  I/Imax  index
21.4  100  1 1 0
30.5  18  2 0 2
37.4  12  1 0 4
37.6  35  3 0 0
43.6  9  0 2 4
49.1  12  2 1 4
49.2  12  3 1 2
59.0  12  4 1 0

***

[4]
The following is a calculated powder diffractogram of LiPH2. It was derived from a GGA-PBE-relaxed structure, using Cu Kα, 1.54184 Å.

Atomic structure:
```
data_LiPH2
_chemical_formula_sum 'Li1 P1 H2'
_cell_length_a 3.622
_cell_length_b 3.622
_cell_length_c 2.939
_cell_angle_alpha 90.00
_cell_angle_beta 90.00
_cell_angle_gamma 90.00
_symmetry_space_group_name_H-M 'P 4/m m m'
_symmetry_Int_Tables_number 123
_symmetry_space_group_name_Hall '-P 4 2'
loop_
_atom_site_label
_atom_site_fract_x
_atom_site_fract_y
_atom_site_fract_z
Li1 0.000 0.000 0.000
P1 0.500 0.500 0.500
H1 0.000 0.500 0.500
```

Most intense lines, 2θ from 15° to 90°, by angle:
two_theta  I/Imax  index
24.6  100  1 0 0
30.4  34  0 0 1
35.0  59  1 1 0
39.5  97  1 0 1
47.1  23  1 1 1
50.4  25  2 0 0
56.8  15  2 1 0
65.8  40  2 1 1

----------